A brief guide to the Nuremberg Trials, where some Nazis faced justice after WW2
After almost a year of testimony, Nazi leaders finally had to answer for what they had done. BBC History Revealed considers the trials at Nuremberg, which took place between November 1945 and October 1946

### Someone pasted data records at this point
........
Record 1
DFT (GGA-PBE) results for a relaxed structure of Hf2TaSn2.

**Theoretical density**: 12.07 g/cm³
**Total DFT energy (no corrections)**: -8.114 eV/atom
**Symmetry**: P4/mbm (127)

a = 7.391 Å, b = 7.391 Å, c = 3.904 Å
α = 90.00°, β = 90.00°, γ = 90.00°
Fractional positions:
1 Ta 0.500 0.500 0.000
2 Ta 0.000 0.000 0.000
3 Sn 0.637 0.137 0.000
4 Sn 0.137 0.363 0.000
5 Sn 0.863 0.637 0.000
6 Sn 0.363 0.863 0.000
7 Hf 0.667 0.833 0.500
8 Hf 0.833 0.333 0.500
9 Hf 0.333 0.167 0.500
10 Hf 0.167 0.667 0.500

---

Record 2
DFT (GGA-PBE) results for a relaxed structure of BaTlBiCl6.

**Formation energy without anion corrections**: -1316.6 kJ/mol of formula units
**Theoretical density**: 3.73 g/cm³
**Total DFT energy (no corrections)**: -3.655 eV/atom
**Symmetry**: P-31c (163)

a = 7.713 Å, b = 7.713 Å, c = 13.175 Å
α = 90.00°, β = 90.00°, γ = 120.00°
Fractional positions:
1 Cl 0.342 0.377 0.867
2 Cl 0.623 0.658 0.633
3 Cl 0.035 0.377 0.633
4 Cl 0.658 0.035 0.367
5 Cl 0.342 0.965 0.633
6 Cl 0.377 0.035 0.133
7 Cl 0.035 0.658 0.867
8 Cl 0.658 0.623 0.133
9 Cl 0.623 0.965 0.867
10 Cl 0.965 0.623 0.367
11 Cl 0.377 0.342 0.367
12 Cl 0.965 0.342 0.133
13 Tl 0.000 0.000 0.500
14 Tl 0.000 0.000 0.000
15 Ba 0.667 0.333 0.750
16 Ba 0.333 0.667 0.250
17 Bi 0.333 0.667 0.750
18 Bi 0.667 0.333 0.250

---

Record 3
DFT (GGA-PBE) results for a relaxed structure of CeHfS2O.

**Formation energy without anion corrections**: -1067.4 kJ/mol of formula units
**Theoretical density**: 7.33 g/cm³
**Total DFT energy (no corrections)**: -8.033 eV/atom
**Symmetry**: P4/nmm (129)

a = 3.728 Å, b = 3.728 Å, c = 13.002 Å
α = 90.00°, β = 90.00°, γ = 90.00°
Site moments in Bohr magnetons follow the coordinates.
Fractional positions:
1 S 0.000 0.500 0.111  0.00
2 S 0.500 0.000 0.889  0.00
3 S 0.500 0.000 0.289  -0.02
4 S 0.000 0.500 0.711  -0.02
5 Hf 0.500 0.000 0.091  0.00
6 Hf 0.000 0.500 0.909  0.00
7 Ce 0.000 0.500 0.396  0.58
8 Ce 0.500 0.000 0.604  0.58
9 O 0.000 0.000 0.500  -0.02
10 O 0.500 0.500 0.500  -0.02

---

Record 4
DFT (GGA-PBE) results for a relaxed structure of MgFeRh4.

**Theoretical density**: 8.62 g/cm³
**Total DFT energy (no corrections)**: -6.504 eV/atom
**Symmetry**: F-43m (216)

a = 5.116 Å, b = 5.116 Å, c = 5.116 Å
α = 60.00°, β = 60.00°, γ = 60.00°
Site moments in Bohr magnetons follow the coordinates.
Fractional positions:
1 Rh 0.375 0.375 0.375  0.50
2 Rh 0.375 0.375 0.875  0.50
3 Rh 0.875 0.375 0.375  0.50
4 Rh 0.375 0.875 0.375  0.50
5 Mg 0.000 0.000 0.000  -0.01
6 Fe 0.750 0.750 0.750  3.33

---

Record 5
DFT (GGA-PBE) results for a relaxed structure of TaNbOs.

**Theoretical density**: 15.23 g/cm³
**Total DFT energy (no corrections)**: -11.285 eV/atom
**Symmetry**: I4mm (107)

a = 3.215 Å, b = 3.215 Å, c = 5.397 Å
α = 107.33°, β = 107.33°, γ = 90.00°
Fractional positions:
1 Os 0.285 0.285 0.570
2 Ta 0.946 0.946 0.892
3 Nb 0.619 0.619 0.238

---

Record 6
DFT (GGA-PBE) results for a relaxed structure of CaPr2Zn2.
........
### End of the data records
When the Allies sought justice against the most prominent members of the Nazi regime in the wake of World War II, there could only be one venue – Nuremberg. This Bavarian city had been a Nazi stronghold, and the location of almost-annual Nazi Party rallies throughout the 1920s and 1930s. It was here, in 1935 – two years after Hitler assumed total power over the Reichstag – that the Nazis announced the anti-Semitic Nuremberg Laws, signalling the start of nationwide Jewish persecution.
They removed German citizenship from Jews, and forbade marriage or sexual relations between Jews and “citizens of German or kindred blood”. Post-war, Nuremburg was a symbolic choice. The military tribunals to come would be in the aptly named Palace of Justice, one of the few places that had escaped bombing.
Judges and prosecutors from the UK, the US, France and the Soviet Union presided over the hearings, with the first – involving some of the most important and notorious Nazi leaders – taking place between November 1945 and October 1946. They were indicted on four counts: conspiracy to commit crimes alleged in other courts, crimes against peace, war crimes and crimes against humanity.
The sentences were read out on 1 October 1946. Twelve would hang, including foreign affairs minister Joachim von Ribbentrop and German Armed Forces chief of operations Alfred Jodl. There was little emotion shown in the court, with Hitler’s deputy Rudolf Hess refusing to wear his headphones to hear the verdict.
In the end, only ten were sent to the gallows – Luftwaffe chief Herman Göring committed suicide the night before his execution, while Martin Bormann – head of the Party Chancellery, who had been tried in absentia – was discovered to have already died.
Another 12 were indicted in the same trial. Seven of those were imprisoned, among them Hess, a decision seen as controversial by many. Three were completely acquitted – however, two of those, Franz von Papen and Hans Fritzsche, were both later found guilty by a German court and sent to prison. No decision was reached in the cases of Robert Ley, who was indicted but committed suicide less than a month before proceedings began, and Gustav Krupp, who was deemed medically unfit. More Nazis were put on trial over the next few years, among them racial purity judges and doctors involved in mass involuntary euthanasia.
This article was first published in the Christmas 2018 issue of BBC History Revealed